~~~
Entry 1:
{
  "formula": "C35H30As2F5NO4RhS",
  "method": "ωB97M-V with the def2-TZVPD basis set",
  "total_charge": 1,
  "multiplicity": 5,
  "gap_ev": [8.2, 6.6],
  "homo_energy_ev": [-10.331, -11.688],
  "largest_force_ha_per_bohr": 0.02490,
  "species": ["Rh", "C", "C", "As", "C", "C", "C", "C", "C", "C", "C", "C", "C", "C", "C", "C", "As", "C", "C", "C", "C", "C", "C", "C", "C", "C", "C", "C", "C", "H", "H", "H", "H", "H", "H", "H", "H", "H", "H", "H", "H", "H", "H", "H", "H", "H", "H", "H", "H", "H", "H", "H", "H", "F", "C", "F", "C", "F", "F", "F", "O", "H", "H", "O", "C", "N", "S", "O", "O", "C", "C", "C", "C", "C", "C", "H", "H", "H", "H"],
  "positions_angstrom": [[0.72776, 0.16260, -0.53963], [-1.58548, -0.47113, 2.21272], [-2.51047, 0.55803, 1.57089], [-1.63039, 1.47445, 0.06591], [-2.57301, 0.94622, -1.52677], [-1.82602, 0.83126, -2.69448], [-2.43695, 0.45111, -3.88091], [-3.79722, 0.18472, -3.89708], [-4.54895, 0.31256, -2.73535], [-3.94129, 0.69924, -1.55108], [-2.13658, 3.32322, 0.30238], [-1.92407, 3.92809, 1.53804], [-2.22538, 5.26829, 1.71542], [-2.72987, 6.01103, 0.65575], [-2.93563, 5.41023, -0.57688], [-2.64027, 4.06691, -0.75714], [-0.73890, -1.52118, 0.80783], [-2.19061, -2.54182, 0.04314], [-2.48712, -2.47257, -1.31335], [-3.53954, -3.21524, -1.83103], [-4.29671, -4.02366, -0.99780], [-4.00833, -4.09145, 0.35782], [-2.95820, -3.35310, 0.87725], [0.41913, -2.78376, 1.67047], [1.22008, -2.36919, 2.72899], [2.08914, -3.27245, 3.31952], [2.16779, -4.57674, 2.84996], [1.37943, -4.98197, 1.78333], [0.50047, -4.08695, 1.19092], [-2.11663, -1.11642, 2.91365], [-0.76942, 0.01602, 2.75165], [-2.80619, 1.32719, 2.28373], [-3.42096, 0.08911, 1.19477], [-0.76002, 1.05195, -2.68544], [-1.85360, 0.37167, -4.78877], [-4.27675, -0.11347, -4.81977], [-5.61210, 0.11395, -2.75419], [-4.54361, 0.80395, -0.65687], [-1.51360, 3.36586, 2.37040], [-2.06108, 5.73274, 2.67836], [-2.96334, 7.05812, 0.79288], [-3.32901, 5.98592, -1.40399], [-2.81318, 3.60738, -1.72349], [-1.90707, -1.83642, -1.96445], [-3.76503, -3.15902, -2.88776], [-5.11372, -4.60527, -1.40384], [-4.59821, -4.72366, 1.00777], [-2.72916, -3.42268, 1.93522], [1.20576, -1.34506, 3.07939], [2.71236, -2.95124, 4.14377], [2.84693, -5.27844, 3.31548], [1.44613, -5.99521, 1.41047], [-0.11283, -4.40683, 0.35677], [0.53568, 3.25555, -1.62188], [1.33441, 2.84623, -0.64166], [0.91291, 3.27336, 0.53818], [2.77955, 3.27569, -0.87703], [3.24983, 2.79280, -2.01760], [3.54353, 2.86122, 0.13339], [2.84090, 4.61205, -0.92783], [0.66559, -1.98929, -1.88494], [1.56026, -2.35033, -1.74507], [0.61079, -1.84843, -2.83859], [2.86514, 0.48213, 2.58714], [3.29830, 0.16690, 1.50586], [2.51849, -0.29659, 0.45436], [3.38940, -0.70716, -0.85048], [3.51107, -2.12105, -1.08133], [2.71495, 0.01626, -1.94128], [4.91110, -0.04921, -0.27342], [6.13287, 0.03907, -0.90784], [7.19206, 0.53931, -0.15927], [7.01747, 0.90826, 1.17093], [5.78231, 0.79462, 1.79405], [4.72144, 0.30749, 1.05160], [6.25898, -0.26324, -1.93799], [8.16796, 0.63952, -0.61405], [7.86292, 1.29313, 1.72500], [5.63360, 1.08479, 2.82515]],
~~~
Echo the lines further above from the one with "multiplicity" to the one with "[-10.331, -11.688]," without additions.
  "multiplicity": 5,
  "gap_ev": [8.2, 6.6],
  "homo_energy_ev": [-10.331, -11.688],